Work order:
What is needed: return the part of the contents further below that starts with the line with "0.0577)" and stops after the one with "(0.4698, 0.6999,".

Given:
(1)
Ce2NiPt after structural relaxation, computed with r²SCAN.

abc: 4.3376 3.8437 10.8915
angles: 90.00 90.00 90.00
Positions (direct):
Ce (0.0000, 0.0000, 0.0000)
Ce (0.0000, 0.5000, 0.5000)
Ce (0.5000, 0.0000, 0.2754)
Ce (0.5000, 0.5000, 0.7754)
Ni (0.0000, 0.0000, 0.7255)
Ni (0.0000, 0.5000, 0.2255)
Pt (0.5000, 0.0000, 0.5577)
Pt (0.5000, 0.5000, 0.0577)

Summary:
Density in g/cm3: 9.767
DFT formation energy in eV per atom: -0.736

***

(2)
BiBr3 after structural relaxation, computed with r²SCAN.

abc: 7.2693 12.5504 7.0353
angles: 90.00 110.46 90.00
Positions (direct):
Bi (0.0000, 0.1667, 0.0000)
Bi (0.0000, 0.8333, 0.0000)
Bi (0.5000, 0.3333, 0.0000)
Bi (0.5000, 0.6667, 0.0000)
Br (0.2353, 0.0000, 0.2515)
Br (0.2411, 0.1744, 0.7504)
Br (0.2411, 0.8256, 0.7504)
Br (0.2589, 0.3256, 0.2496)
Br (0.2589, 0.6744, 0.2496)
Br (0.2647, 0.5000, 0.7485)
Br (0.7353, 0.5000, 0.2515)
Br (0.7411, 0.3256, 0.7504)
Br (0.7411, 0.6744, 0.7504)
Br (0.7589, 0.1744, 0.2496)
Br (0.7589, 0.8256, 0.2496)
Br (0.7647, 0.0000, 0.7485)

Summary:
Density in g/cm3: 4.956
DFT formation energy in eV per atom: -0.846

***

(3)
La10S19 after structural relaxation, computed with r²SCAN.

abc: 9.1584 9.1584 16.3726
angles: 90.00 90.00 90.00
Positions (direct):
La (0.0411, 0.3480, 0.1230)
La (0.0562, 0.3534, 0.6015)
La (0.1466, 0.0562, 0.8985)
La (0.1520, 0.0411, 0.3770)
La (0.2500, 0.7500, 0.1130)
La (0.2500, 0.7500, 0.6130)
La (0.3480, 0.4589, 0.3770)
La (0.3534, 0.4438, 0.8985)
La (0.4438, 0.1466, 0.6015)
La (0.4589, 0.1520, 0.1230)
La (0.5411, 0.8480, 0.8770)
La (0.5562, 0.8534, 0.3985)
La (0.6466, 0.5562, 0.1015)
La (0.6520, 0.5411, 0.6230)
La (0.7500, 0.2500, 0.3870)
La (0.7500, 0.2500, 0.8870)
La (0.8480, 0.9589, 0.6230)
La (0.8534, 0.9438, 0.1015)
La (0.9438, 0.6466, 0.3985)
La (0.9589, 0.6520, 0.8770)
S (0.0302, 0.8001, 0.2489)
S (0.0486, 0.3490, 0.4246)
S (0.0537, 0.3521, 0.9379)
S (0.0828, 0.8904, 0.7500)
S (0.1096, 0.5828, 0.2500)
S (0.1479, 0.0537, 0.5621)
S (0.1510, 0.0486, 0.0754)
S (0.1999, 0.5302, 0.7489)
S (0.2500, 0.2500, 0.2500)
S (0.2500, 0.7500, 0.4330)
S (0.2500, 0.7500, 0.9330)
S (0.3001, 0.9698, 0.7489)
S (0.3490, 0.4514, 0.0754)
S (0.3521, 0.4463, 0.5621)
S (0.3904, 0.9172, 0.2500)
S (0.4172, 0.6096, 0.7500)
S (0.4463, 0.1479, 0.9379)
S (0.4514, 0.1510, 0.4246)
S (0.4698, 0.6999, 0.2489)
S (0.5302, 0.3001, 0.7511)
S (0.5486, 0.8490, 0.5754)
S (0.5537, 0.8521, 0.0621)
S (0.5828, 0.3904, 0.2500)
S (0.6096, 0.0828, 0.7500)
S (0.6479, 0.5537, 0.4379)
S (0.6510, 0.5486, 0.9246)
S (0.6999, 0.0302, 0.2511)
S (0.7500, 0.2500, 0.0670)
S (0.7500, 0.2500, 0.5670)
S (0.7500, 0.7500, 0.7500)
S (0.8001, 0.4698, 0.2511)
S (0.8490, 0.9514, 0.9246)
S (0.8521, 0.9463, 0.4379)
S (0.8904, 0.4172, 0.7500)
S (0.9172, 0.1096, 0.2500)
S (0.9463, 0.6479, 0.0621)
S (0.9514, 0.6510, 0.5754)
S (0.9698, 0.1999, 0.7511)

Summary:
Density in g/cm3: 4.833
DFT formation energy in eV per atom: -2.206

***

(4)
Dy4CdRh after structural relaxation, computed with r²SCAN.

abc: 9.5652 9.5652 9.5652
angles: 60.00 60.00 60.00
Positions (direct):
Dy (0.0604, 0.0604, 0.4396)
Dy (0.0604, 0.4396, 0.0604)
Dy (0.0604, 0.4396, 0.4396)
Dy (0.1866, 0.1866, 0.8134)
Dy (0.1866, 0.8134, 0.1866)
Dy (0.1866, 0.8134, 0.8134)
Dy (0.2024, 0.5992, 0.5992)
Dy (0.4396, 0.0604, 0.0604)
Dy (0.4396, 0.0604, 0.4396)
Dy (0.4396, 0.4396, 0.0604)
Dy (0.5992, 0.2024, 0.5992)
Dy (0.5992, 0.5992, 0.2024)
Dy (0.5992, 0.5992, 0.5992)
Dy (0.8134, 0.1866, 0.1866)
Dy (0.8134, 0.1866, 0.8134)
Dy (0.8134, 0.8134, 0.1866)
Cd (0.5082, 0.8306, 0.8306)
Cd (0.8306, 0.5082, 0.8306)
Cd (0.8306, 0.8306, 0.5082)
Cd (0.8306, 0.8306, 0.8306)
Rh (0.3922, 0.3922, 0.3922)
Rh (0.3922, 0.3922, 0.8233)
Rh (0.3922, 0.8233, 0.3922)
Rh (0.8233, 0.3922, 0.3922)

Summary:
Density in g/cm3: 9.288
DFT formation energy in eV per atom: -0.543

***

(5)
Li7Co5O12 after structural relaxation, computed with r²SCAN.

abc: 4.8580 4.8580 9.4209
angles: 94.87 94.87 120.02
Positions (direct):
Li (0.0000, 0.0000, 0.0000)

Outcome:
Pt (0.5000, 0.5000, 0.0577)

Summary:
Density in g/cm3: 9.767
DFT formation energy in eV per atom: -0.736

***

(2)
BiBr3 after structural relaxation, computed with r²SCAN.

abc: 7.2693 12.5504 7.0353
angles: 90.00 110.46 90.00
Positions (direct):
Bi (0.0000, 0.1667, 0.0000)
Bi (0.0000, 0.8333, 0.0000)
Bi (0.5000, 0.3333, 0.0000)
Bi (0.5000, 0.6667, 0.0000)
Br (0.2353, 0.0000, 0.2515)
Br (0.2411, 0.1744, 0.7504)
Br (0.2411, 0.8256, 0.7504)
Br (0.2589, 0.3256, 0.2496)
Br (0.2589, 0.6744, 0.2496)
Br (0.2647, 0.5000, 0.7485)
Br (0.7353, 0.5000, 0.2515)
Br (0.7411, 0.3256, 0.7504)
Br (0.7411, 0.6744, 0.7504)
Br (0.7589, 0.1744, 0.2496)
Br (0.7589, 0.8256, 0.2496)
Br (0.7647, 0.0000, 0.7485)

Summary:
Density in g/cm3: 4.956
DFT formation energy in eV per atom: -0.846

***

(3)
La10S19 after structural relaxation, computed with r²SCAN.

abc: 9.1584 9.1584 16.3726
angles: 90.00 90.00 90.00
Positions (direct):
La (0.0411, 0.3480, 0.1230)
La (0.0562, 0.3534, 0.6015)
La (0.1466, 0.0562, 0.8985)
La (0.1520, 0.0411, 0.3770)
La (0.2500, 0.7500, 0.1130)
La (0.2500, 0.7500, 0.6130)
La (0.3480, 0.4589, 0.3770)
La (0.3534, 0.4438, 0.8985)
La (0.4438, 0.1466, 0.6015)
La (0.4589, 0.1520, 0.1230)
La (0.5411, 0.8480, 0.8770)
La (0.5562, 0.8534, 0.3985)
La (0.6466, 0.5562, 0.1015)
La (0.6520, 0.5411, 0.6230)
La (0.7500, 0.2500, 0.3870)
La (0.7500, 0.2500, 0.8870)
La (0.8480, 0.9589, 0.6230)
La (0.8534, 0.9438, 0.1015)
La (0.9438, 0.6466, 0.3985)
La (0.9589, 0.6520, 0.8770)
S (0.0302, 0.8001, 0.2489)
S (0.0486, 0.3490, 0.4246)
S (0.0537, 0.3521, 0.9379)
S (0.0828, 0.8904, 0.7500)
S (0.1096, 0.5828, 0.2500)
S (0.1479, 0.0537, 0.5621)
S (0.1510, 0.0486, 0.0754)
S (0.1999, 0.5302, 0.7489)
S (0.2500, 0.2500, 0.2500)
S (0.2500, 0.7500, 0.4330)
S (0.2500, 0.7500, 0.9330)
S (0.3001, 0.9698, 0.7489)
S (0.3490, 0.4514, 0.0754)
S (0.3521, 0.4463, 0.5621)
S (0.3904, 0.9172, 0.2500)
S (0.4172, 0.6096, 0.7500)
S (0.4463, 0.1479, 0.9379)
S (0.4514, 0.1510, 0.4246)
S (0.4698, 0.6999, 0.2489)